Your job: transcribe the part of the block further below that starts with the line with "Pb: 0.5000" and stops after the one with "Ru: 0.4136".
/*
Entry 1:
Density functional theory data (GGA-PBE) for an optimized crystal structure of KInHBr.

Summary:
- VASP energy (eV/f.u.) = -10.3
- magnetic moment (μB/f.u.) = 0.0

Lattice parameters (Å, degrees): 5.3610 5.3610 5.3610 60.00 60.00 60.00
Fractional coordinates of all 4 atoms:
In: 0.7500 0.7500 0.7500
K: 0.2500 0.2500 0.2500
H: 0.0000 0.0000 0.0000
Br: 0.5000 0.5000 0.5000

Entry 2:
Density functional theory data (GGA-PBE) for an optimized crystal structure of MgRh2PbF.

Summary:
- magnetic moment (μB/f.u.) = 0.0
- uncorrected formation energy (meV per atom) = -297

Lattice parameters (Å, degrees): 4.9471 3.6095 4.9471 90.00 90.00 90.00
Fractional coordinates of all 5 atoms:
F: 0.0000 0.5000 0.0000
Mg: 0.0000 0.0000 0.0000
Rh: 0.0000 0.0000 0.5000
Rh: 0.5000 0.0000 0.0000
Pb: 0.5000 0.5000 0.5000

Entry 3:
Density functional theory data (GGA-PBE) for an optimized crystal structure of Ce8Ru6Pb.

Summary:
- formation energy from the elements (kJ/mol of atoms) = -21.9
- magnetic moment (μB/f.u.) = 3.1

Lattice parameters (Å, degrees): 7.2842 7.2842 7.2842 91.06 91.06 91.06
Each line ends with the local moment (μB).
Fractional coordinates of all 15 atoms:
Ru: 0.3998 0.5864 0.2440  -0.06
Ru: 0.7560 0.6002 0.4136  -0.06
Ru: 0.5864 0.2440 0.3998  -0.06
Ru: 0.6002 0.4136 0.7560  -0.06
Ru: 0.4136 0.7560 0.6002  -0.06
Ru: 0.2440 0.3998 0.5864  -0.06
Ce: 0.3780 0.0617 0.7194  0.30
Ce: 0.7194 0.3780 0.0617  0.30
Ce: 0.2454 0.2454 0.2454  0.45
Ce: 0.6220 0.9383 0.2806  0.30
Ce: 0.2806 0.6220 0.9383  0.30
Ce: 0.9383 0.2806 0.6220  0.30
Ce: 0.7546 0.7546 0.7546  0.45
Ce: 0.0617 0.7194 0.3780  0.30
Pb: 0.0000 0.0000 0.0000  -0.01

Entry 4:
Density functional theory data (GGA-PBE) for an optimized crystal structure of Y2AlNi.

Summary:
- formation energy from the elements (kJ/mol of atoms) = -14.6
- magnetic moment (μB/f.u.) = 0.0

Lattice parameters (Å, degrees): 5.6988 5.6988 5.6988 136.63 136.63 63.00
Fractional coordinates of all 4 atoms:
Ni: 0.7500 0.2500 0.5000
Y: 0.2500 0.7500 0.5000
Y: 0.0000 0.0000 0.0000
Al: 0.5000 0.5000 0.0000

Entry 5:
Density functional theory data (GGA-PBE) for an optimized crystal structure of InNiSnB2.

Summary:
- formation energy from the elements (kJ/mol of atoms) = 79.7
- magnetic moment (μB/f.u.) = 0.0

Lattice parameters (Å, degrees): 3.9818 5.4239 3.9818 90.00 90.00 90.00
Fractional coordinates of all 5 atoms:
Ni: 0.0000 0.0000 0.0000
B: 0.0000 0.0000 0.5000
B: 0.5000 0.0000 0.0000
In: 0.5000 0.5000 0.5000
Sn: 0.0000 0.5000 0.0000

Entry 6:
Density functional theory data (GGA-PBE) for an optimized crystal structure of BaMnW2.

Summary:
- distance to the lowest polymorph of the same formula (meV per atom) = 0
- formation energy from the elements (kJ/mol of atoms) = 71.5
- magnetic moment (μB/f.u.) = 3.3

Lattice parameters (Å, degrees): 3.2591 3.2590 8.1980 90.00 90.00 90.00
Each line ends with the local moment (μB).
Fractional coordinates of all 4 atoms:
Ba: 0.0000 0.0000 0.4955  -0.05
W: 0.5000 0.5000 0.1691  0.28
W: 0.0000 0.0000 0.0053  -0.38
Mn: 0.5000 0.5000 0.8301  3.33

Entry 7:
Density functional theory data (GGA-PBE) for an optimized crystal structure of LiYMg2Ti.

Summary:
- distance to the lowest polymorph of the same formula (meV per atom) = 0
- formation energy from the elements (kJ/mol of atoms) = 67.7
- magnetic moment (μB/f.u.) = 0.7

Lattice parameters (Å, degrees): 5.4349 5.0742 5.4349 90.00 90.00 90.00
Each line ends with the local moment (μB).
Fractional coordinates of all 5 atoms:
Ti: 0.0000 0.0000 0.0000  0.51
*/
Pb: 0.5000 0.5000 0.5000

Entry 3:
Density functional theory data (GGA-PBE) for an optimized crystal structure of Ce8Ru6Pb.

Summary:
- formation energy from the elements (kJ/mol of atoms) = -21.9
- magnetic moment (μB/f.u.) = 3.1

Lattice parameters (Å, degrees): 7.2842 7.2842 7.2842 91.06 91.06 91.06
Each line ends with the local moment (μB).
Fractional coordinates of all 15 atoms:
Ru: 0.3998 0.5864 0.2440  -0.06
Ru: 0.7560 0.6002 0.4136  -0.06
Ru: 0.5864 0.2440 0.3998  -0.06
Ru: 0.6002 0.4136 0.7560  -0.06
Ru: 0.4136 0.7560 0.6002  -0.06